The Present

The Eternal Now. Common to all forms of Buddhism is the understanding that the only thing that truly exists is this moment in time. The past is how we remember it. The future is how we expect it to be. The only thing of which we can be certain is now. Why is this realization so important?

# Inserted here: calculated crystals
~~~
No. 1
VASP calculation (PBE) on a geometry-optimized CeHoZn structure.

Cell: 6.692 6.692 6.692 Å, 149.36 149.36 43.88°
Fractional positions:
Ce  0.000  0.000  0.000
Ho  0.706  0.706  0.000
Zn  0.345  0.345  0.000

Energy relative to the lowest polymorph listed for this composition, eV/f.u.: 0.09
Space group: I4mm (107)
Crystal system: tetragonal
Volume, Å³ per atom: 25.872
Formation energy, eV per atom: -0.129
N(E_F), states/eV/f.u.: 5.8

No. 2
VASP calculation (PBE) on a geometry-optimized Li2B3C3 structure.

Cell: 2.734 2.734 19.528 Å, 90.00 90.00 120.00°
Fractional positions:
Li  0.000  0.000  0.090
Li  0.000  0.000  0.273
Li  0.000  0.000  0.727
Li  0.000  0.000  0.910
B  0.333  0.667  0.000
B  0.333  0.667  0.365
B  0.333  0.667  0.635
B  0.667  0.333  0.181
B  0.667  0.333  0.500
B  0.667  0.333  0.819
C  0.333  0.667  0.180
C  0.333  0.667  0.500
C  0.333  0.667  0.820
C  0.667  0.333  0.000
C  0.667  0.333  0.361
C  0.667  0.333  0.639

Energy relative to the lowest polymorph listed for this composition, eV/f.u.: 0.32
Space group: P-6m2 (187)
Crystal system: hexagonal
Volume, Å³ per atom: 7.900
Formation energy, eV per atom: -0.137
N(E_F), states/eV/f.u.: 0.8

No. 3
VASP calculation (PBE) on a geometry-optimized CuPtSe2 structure.

Cell: 2.902 2.902 9.026 Å, 90.00 90.00 101.04°
Fractional positions:
Cu  0.000  0.000  0.000
Pt  0.500  0.500  0.794
Se  0.000  0.000  0.588
Se  0.500  0.500  0.199

Space group: Cmm2 (35)
Crystal system: orthorhombic
Volume, Å³ per atom: 18.649
E_form (uncorrected), meV per atom: 142
N(E_F), states/eV/f.u.: 2.0

No. 4
VASP calculation (PBE) on a geometry-optimized LiSnP2O7 structure.

Cell: 5.034 6.556 11.128 Å, 76.06 78.64 76.55°
Fractional positions:
Li  0.212  0.364  0.074
Li  0.788  0.636  0.926
Sn  0.424  0.688  0.260
Sn  0.576  0.312  0.740
P  0.164  0.736  0.576
P  0.200  0.893  0.799
P  0.800  0.107  0.201
P  0.836  0.264  0.424
O  0.105  0.101  0.165
O  0.245  0.499  0.894
O  0.249  0.835  0.440
O  0.256  0.493  0.619
O  0.305  0.852  0.659
O  0.306  0.083  0.811
O  0.373  0.688  0.888
O  0.627  0.312  0.112
O  0.694  0.917  0.189
O  0.695  0.148  0.341
O  0.744  0.507  0.381
O  0.751  0.165  0.560
O  0.755  0.501  0.106
O  0.895  0.899  0.835

Energy relative to the lowest polymorph listed for this composition, eV/f.u.: 5.58
Space group: P-1 (2)
Crystal system: triclinic
Volume, Å³ per atom: 15.578
E_form (uncorrected), meV per atom: -1558

No. 5
VASP calculation (PBE) on a geometry-optimized K2InBr4 structure.

Cell: 7.011 7.011 8.934 Å, 115.36 115.36 38.36°
Fractional positions:
K  0.164  0.164  0.173
K  0.836  0.836  0.827
In  0.500  0.500  0.500
Br  0.152  0.152  0.548
Br  0.429  0.429  0.140
Br  0.571  0.571  0.860
Br  0.848  0.848  0.452

Energy relative to the lowest polymorph listed for this composition, eV/f.u.: 0.15
Space group: C2/m (12)
Crystal system: monoclinic
Volume, Å³ per atom: 34.697
E_form (uncorrected), meV per atom: -1248
N(E_F), states/eV/f.u.: 2.6

No. 6
~~~
# Back to the text

Buddhism stresses the idea of dependent origination, or karma. This says that everything that exists now is the result of that which has come before. The past is gone; it is impossible to change. To some, this makes Buddhism seem fatalistic; that life is predetermined and out of our control. However, the opposite is true. Yes, we cannot change the past, but we shape the future in this very moment. That is why our thoughts, words and deeds right now are so important. Certain practices aid in focusing on this moment.

**Misplaced calculated crystals:**
[1]
# Li2CrCl2

A relaxed Li2CrCl2 crystal (PBE, the Alexandria database).

```
Li2CrCl2
1.0
7.678 0.000 0.000
0.000 7.678 0.000
0.000 0.000 3.276
Li Cr Cl
4 2 4
direct
0.135 0.365 0.000
0.365 0.865 0.000
0.635 0.135 0.000
0.865 0.635 0.000
0.000 0.000 0.000
0.500 0.500 0.000
0.151 0.651 0.500
0.349 0.151 0.500
0.651 0.849 0.500
0.849 0.349 0.500
```

Values from the calculation:
Spin magnetization = 1.120 μB/atom
Uncorrected energy = -3.96 eV/atom
Raw formation energy = -0.5346 eV per atom

[2]
# LiCrCl

A relaxed LiCrCl crystal (PBE, the Alexandria database).

```
LiCrCl
1.0
0.000 2.855 6.025
1.711 0.000 6.025
1.711 2.855 0.000
Li Cr Cl
1 1 1
direct
0.000 0.000 0.000
0.701 0.701 0.299
0.364 0.364 0.636
```

Values from the calculation:
Spin magnetization = 1.553 μB/atom
Uncorrected energy = -4.63 eV/atom
Raw formation energy = -0.1704 eV per atom

[3]
# LiCr2Cl

A relaxed LiCr2Cl crystal (PBE, the Alexandria database).

```
LiCr2Cl
1.0
1.548 0.894 7.849
-1.548 0.894 7.849
0.000 -1.788 7.849
Li Cr Cl
1 2 1
direct
0.000 0.000 0.000
0.223 0.223 0.223
0.489 0.489 0.489
0.733 0.733 0.733
```

Values from the calculation:
Spin magnetization = 0.135 μB/atom
Uncorrected energy = -5.78 eV/atom
Raw formation energy = -0.0247 eV per atom

[4]
# Li2CrCl6

A relaxed Li2CrCl6 crystal (PBE, the Alexandria database).

```
Li2CrCl6
1.0
5.898 0.000 0.000
0.000 5.898 0.000
0.000 0.000 10.949
Li Cr Cl
4 2 12
direct
0.000 0.000 0.170
0.000 0.000 0.830
0.500 0.500 0.330
0.500 0.500 0.670
0.000 0.000 0.500
0.500 0.500 0.000
0.191 0.191 0.347
0.191 0.191 0.653
0.223 0.223 0.000
0.277 0.723 0.500
0.309 0.691 0.153
0.309 0.691 0.847
0.691 0.309 0.153
0.691 0.309 0.847
0.723 0.277 0.500
0.777 0.777 0.000
0.809 0.809 0.347
0.809 0.809 0.653
```

Values from the calculation:
Spin magnetization = 0.220 μB/atom
Uncorrected energy = -3.96 eV/atom
Raw formation energy = -1.2346 eV per atom

[5]
# LiCr2Cl

A relaxed LiCr2Cl crystal (PBE, the Alexandria database).

```
LiCr2Cl
1.0
-1.517 2.513 5.092
1.517 -2.513 5.092
1.517 2.513 -5.092
Li Cr Cl
1 2 1
direct
0.000 0.000 0.000
0.396 0.896 0.500
0.583 0.583 0.000
0.790 0.290 0.500
```

Values from the calculation:
Spin magnetization = 0.014 μB/atom
Uncorrected energy = -5.48 eV/atom
Raw formation energy = 0.2758 eV per atom

[6]
# Li2CrCl2

A relaxed Li2CrCl2 crystal (PBE, the Alexandria database).

```
Li2CrCl2
1.0
-2.425 2.425 5.812
2.425 -2.425 5.812
2.425 2.425 -5.812
Li Cr Cl
2 1 2
direct
0.229 0.229 0.000
0.771 0.771 0.000
0.500 0.500 0.000
0.250 0.750 0.500
0.750 0.250 0.500
```

Values from the calculation:
Spin magnetization = 1.197 μB/atom
Uncorrected energy = -4.01 eV/atom
Raw formation energy = -0.5792 eV per atom

[7]
# LiCrCl5

A relaxed LiCrCl5 crystal (PBE, the Alexandria database).

```
LiCrCl5
1.0
7.112 -3.076 0.000
7.112 3.076 0.000
-2.867 0.000 8.460
Li Cr Cl
2 2 10
direct
0.092 0.908 0.750
0.908 0.092 0.250
0.500 0.500 0.000
0.500 0.500 0.500
0.139 0.627 0.509
0.143 0.617 0.871
0.332 0.668 0.250

The best known of these practices is Zen meditation. Unlike some other meditation practices, Zen meditation is not about “zoning out” or escaping the world around you. In fact, it is the opposite. As one clears the mind of random thoughts, often by focusing on the breath, an acute awareness of surroundings develops. Sounds, smells, light and temperature seem more defined. As changes occur, the mind takes notice, but then moves on. Making no attempt to analyze each event, they are allowed to come and go. An example I often use is the sound of a fire truck. While sitting zazen, a fire truck goes by. The mind registers the thought “fire truck.” You then return to counting your breaths. The mind does not begin to dwell on the sound, wondering where the truck is going, how big the fire is and why is it interrupting my meditation? As one develops this ability to concentrate on the present moment, the practice carries over to everyday life. We see things more clearly, because we see them separate from all non-essential elements. Problems are more easily resolved when we are able to strip away our emotional thoughts of the past and future, and deal with the problem at hand.

The idea that right now is the most important time is not exclusive to Buddhism. Often, as I channel surf, I watch speakers from other religions. One evening, as I surfed, I happened to hear Father John Corapi, a Catholic priest, say that we should savor this moment. He said that too often we spend our time reliving the past or worrying about the future. By doing this, we never fully appreciate right now. He then said, “Your life right now is a gift from God. That is why it is called the present.” A clever play on words, but true regardless of your religion. This moment is a gift, and like a gift, it must be unwrapped from the past and future. Only then can we realize its infinite potential.